Introducing the ARFID Severity Matrix: Essential Tools for Managing ARFID in Adults and Children

Insight Eating is thrilled to unveil two pioneering tools developed in collaboration with healthcare professionals: the ARFID Severity Matrix for Adults and for Children. These resources are designed to enhance the assessment and management of Avoidant/Restrictive Food Intake Disorder (ARFID), providing structured guidance to support healthcare providers in delivering targeted and effective care.

Understanding ARFID: Avoidant/Restrictive Food Intake Disorder (ARFID) is a condition characterized by a persistent failure to meet appropriate nutritional and/or energy needs, leading to significant health and psychosocial consequences. Unlike other eating disorders, ARFID is not driven by concerns about body weight or shape but involves limitations in the amount or types of food consumed. This can result in weight loss, nutritional deficiencies, and in severe cases, dependence on tube feeding or nutritional supplements.

The ARFID Severity Matrix Tools:

### Crystal structures, as found in the file
<<<
[1]
The following is a PBE calculation of an optimized crystal structure of TlAgCl3, from Alexandria via LeMat-Bulk.

For the density of states at the Fermi level, the calculation gives 1.24 states/eV/f.u. The value obtained for the energy is -27.41 eV/cell. The raw formation energy comes out at -2.9 eV per formula unit. Its space group is No. 11.

```
TlAgCl3
1.0
4.7189 0.0000 1.8930
0.0000 8.3267 0.0000
-0.3218 0.0000 7.5470
Cl Tl Ag
6 2 2
Direct
0.5873 0.7500 0.8237
0.8728 0.9660 0.2573
0.4127 0.2500 0.1763
0.1272 0.4660 0.7427
0.8728 0.5340 0.2573
0.1272 0.0340 0.7427
0.6381 0.2500 0.7199
0.3619 0.7500 0.2801
0.8966 0.2500 0.2092
0.1034 0.7500 0.7908
```



[2]
The following is a PBE calculation of an optimized crystal structure of Tl3AgCl4, from Alexandria via LeMat-Bulk.

For the density of states at the Fermi level, the calculation gives 0.00 states/eV/f.u. The value obtained for the energy is -48.20 eV/cell. The raw formation energy comes out at -6.8 eV per formula unit. Its space group is No. 31.

```
Tl3AgCl4
1.0
6.3749 0.0000 0.0000
0.0000 9.5814 0.0000
0.0000 0.0000 9.2530
Cl Tl Ag
8 6 2
Direct
0.5733 0.6778 0.7510
0.0733 0.3222 0.2510
0.0733 0.3222 0.7490
0.5665 0.0659 0.5000
0.5733 0.6778 0.2490
0.0868 0.7643 0.5000
0.0665 0.9341 0.0000
0.5868 0.2357 0.0000
0.5642 0.3473 0.7055
0.5642 0.3473 0.2945
0.5623 0.9078 0.0000
0.0642 0.6527 0.2055
0.0623 0.0922 0.5000
0.0642 0.6527 0.7945
0.5246 0.7947 0.5000
0.0246 0.2053 0.0000
```



[3]
The following is a PBE calculation of an optimized crystal structure of TlAg2Cl, from Alexandria via LeMat-Bulk.

For the energy above the lowest structure with this stoichiometry, the calculation gives 125 meV per atom. For the density of states at the Fermi level, the calculation gives 0.59 states/eV/f.u. The value obtained for the energy is -10.02 eV/cell. The raw formation energy comes out at -0.1 eV per formula unit. Its space group is No. 123.

```
TlAg2Cl
1.0
-2.4507 1.2273 -2.7390
0.4036 -3.3674 -1.8700
-4.7766 -2.3590 3.2169
Cl Ag Tl
1 2 1
Direct
0.5000 0.5000 0.2500
0.0000 0.0000 0.9793
0.0000 0.0000 0.5207
0.5000 0.5000 0.7500
```



[4]
The following is a PBE calculation of an optimized crystal structure of TlAgCl2, from Alexandria via LeMat-Bulk.

For the density of states at the Fermi level, the calculation gives 0.00 states/eV/f.u. The value obtained for the energy is -47.37 eV/cell. The raw formation energy comes out at -2.9 eV per formula unit. Its space group is No. 62.

```
TlAgCl2
1.0
-0.3715 4.0575 -1.4375
-3.8401 1.8131 6.1101
12.0774 3.4340 6.5715
Cl Tl Ag
8 4 4
Direct
0.7500 0.1156 0.7468
0.7500 0.7253 0.0253
0.7500 0.2253 0.4747
0.2500 0.2747 0.9747
0.7500 0.6156 0.7532
0.2500 0.8844 0.2532
0.2500 0.7747 0.5253
0.2500 0.3844 0.2468
0.7500 0.6198 0.3583
0.7500 0.1198 0.1417
0.2500 0.3802 0.6417
0.2500 0.8802 0.8583
0.7500 0.4014 0.8951
0.2500 0.0986 0.3951
0.7500 0.9014 0.6049
0.2500 0.5986 0.1049
```



[5]
>>>

  1. Adult Version: The adult matrix categorizes ARFID severity into four levels—Mild, Mild-Moderate, Moderate-Severe, and Severe—based on the extent of nutritional and psychosocial impairment. Each level is defined by specific criteria, including the use of sip-feeds, need for micronutrient support, and the impact on daily functioning and quality of life. This structured tool guides clinicians in determining the appropriate level of intervention required, from non-intensive supports to inpatient care for severe cases.
  2. Children’s Version: Tailored to the unique needs of younger patients, this version assesses the impact of ARFID on children’s growth, development, and school performance. Similar to the adult matrix, it classifies severity into levels that dictate the necessity and intensity of interventions, from mild adjustments in school to extensive therapeutic and dietary support in severe instances. The tool emphasizes the importance of addressing not only the physical but also the emotional and developmental needs of children with ARFID.

-- begin --
Entry 1:
! Dy3AsO6, optimized geometry, DFT GGA-PBE; values from VASP
&SYSTEM
  ibrav = 0, nat = 20, ntyp = 3
/
ATOMIC_SPECIES
Dy 162.50 Dy.upf
As 74.92 As.upf
O 16.00 O.upf
CELL_PARAMETERS angstrom
4.424 -5.555 0.000
4.424 5.555 0.000
0.000 0.000 5.874
ATOMIC_POSITIONS angstrom
Dy 4.424 4.481 2.937
Dy 2.697 1.198 3.159
Dy 2.697 -1.198 0.222
Dy 6.150 1.198 3.159
Dy 6.150 -1.198 0.222
Dy 4.424 -4.481 0.000
As 4.424 1.949 0.505
As 4.424 -1.949 3.442
O 3.050 2.838 1.316
O 1.445 0.145 1.565
O 1.445 -0.145 4.502
O 4.424 2.459 3.703
O 5.797 2.838 1.316
O 4.424 0.411 1.586
O 4.424 -0.411 4.523
O 3.050 -2.838 4.253
O 4.424 -2.459 0.766
O 7.402 0.145 1.565
O 7.402 -0.145 4.502
O 5.797 -2.838 4.253
! total magnetization = 0.0000 μB per atom
! space group = No. 36
! formation energy from raw total energies = -2.96 eV/atom

---

Entry 2:
! DyAsO, optimized geometry, DFT GGA-PBE; values from VASP
&SYSTEM
  ibrav = 0, nat = 12, ntyp = 3
/
ATOMIC_SPECIES
Dy 162.50 Dy.upf
As 74.92 As.upf
O 16.00 O.upf
CELL_PARAMETERS angstrom
4.801 0.000 0.000
0.000 4.056 0.000
0.000 0.000 11.392
ATOMIC_POSITIONS angstrom
Dy 0.931 1.014 1.219
Dy 1.469 3.042 6.915
Dy 3.331 1.014 4.477
Dy 3.870 3.042 10.173
As 0.751 3.042 3.759
As 1.649 1.014 9.455
As 3.152 3.042 1.937
As 4.049 1.014 7.633
O 0.054 3.042 0.817
O 2.346 1.014 6.513
O 2.455 3.042 4.879
O 4.746 1.014 10.575
! total magnetization = 0.0000 μB per atom
! space group = No. 62
! formation energy from raw total energies = -1.87 eV/atom

---

Entry 3:
! DyPaAs2O8, optimized geometry, DFT GGA-PBE; values from VASP
&SYSTEM
  ibrav = 0, nat = 12, ntyp = 4
/
ATOMIC_SPECIES
Dy 162.50 Dy.upf
Pa 231.04 Pa.upf
As 74.92 As.upf
O 16.00 O.upf
CELL_PARAMETERS angstrom
-3.566 3.566 3.362
3.566 -3.566 3.362
3.566 3.566 -3.362
ATOMIC_POSITIONS angstrom
Dy 0.000 0.000 0.000
Pa 3.566 0.000 1.681
As 0.000 0.000 3.362
As 0.000 3.566 1.681
O 2.152 3.566 -1.407
O 1.414 0.000 1.955
O 0.000 2.287 0.528
O 3.566 2.152 1.407
O 0.000 4.845 0.528
O 0.000 1.414 4.769
O -1.279 3.566 2.834
O 1.279 3.566 2.834
! total magnetization = 0.0000 μB per atom
! space group = No. 119
! formation energy from raw total energies = -2.36 eV/atom

---

Entry 4:
! DyAs2PbO8, optimized geometry, DFT GGA-PBE; values from VASP
&SYSTEM
  ibrav = 0, nat = 12, ntyp = 4
/
ATOMIC_SPECIES
Dy 162.50 Dy.upf
As 74.92 As.upf
Pb 207.20 Pb.upf
O 16.00 O.upf
CELL_PARAMETERS angstrom
5.691 0.000 0.000
-2.845 4.928 0.000
0.000 0.000 7.354
ATOMIC_POSITIONS angstrom
Dy 0.000 0.000 0.000
As 0.000 3.286 2.047
As 2.845 1.643 5.308
Pb 0.000 0.000 3.677
O -0.016 1.660 1.507
O -1.400 4.113 1.507
O 0.000 3.286 3.767
O 1.429 0.844 5.847
O 1.416 4.084 1.507
O 2.845 1.643 3.587
O 4.245 0.816 5.847
O 2.862 3.269 5.847
! total magnetization = 0.0847 μB per atom
! space group = No. 147
! formation energy from raw total energies = -1.62 eV/atom

---

Entry 5:
! DyAsPb2O6, optimized geometry, DFT GGA-PBE; values from VASP
&SYSTEM
  ibrav = 0, nat = 20, ntyp = 4
/
ATOMIC_SPECIES
Dy 162.50 Dy.upf
-- stop --

Application and Importance: These matrices are invaluable in clinical settings for their structured approach to evaluating ARFID severity. They enable healthcare providers to create personalized care plans that are informed by a detailed understanding of an individual’s specific challenges and needs. By standardizing the assessment process, the tools also facilitate more consistent and effective management of ARFID across different care settings.

## Crystal structures from another source follow
- - -
A relaxed structure of Dy4Y9Tm11, computed with PBE.

Summary:
Formation enthalpy at 0 K, eV per atom: 0.04

Structure (CIF):
```
data_Dy4Y9Tm11
_space_group_name_H-M_alt 'P 1'
_space_group_IT_number 1
_cell_length_a 3.646
_cell_length_b 14.977
_cell_length_c 14.977
_cell_angle_alpha 112.95
_cell_angle_beta 90.00
_cell_angle_gamma 90.00
loop_
_space_group_symop_operation_xyz
'x,y,z'
loop_
_atom_site_label
_atom_site_type_symbol
_atom_site_fract_x
_atom_site_fract_y
_atom_site_fract_z
_atom_site_occupancy
Y1 Y 0.500 0.500 0.500 1
Y2 Y 0.500 0.631 0.163 1
Y3 Y 0.500 0.786 0.932 1
Y4 Y 0.500 0.214 0.068 1
Y5 Y 0.500 0.163 0.631 1
Y6 Y 0.500 0.837 0.369 1
Y7 Y 0.500 0.369 0.837 1
Y8 Y 0.500 0.932 0.786 1
Y9 Y 0.500 0.068 0.214 1
Tm1 Tm 0.000 0.045 0.407 1
Tm2 Tm 0.000 0.367 0.633 1
Tm3 Tm 0.000 0.000 0.000 1
Tm4 Tm 0.000 0.955 0.593 1
Tm5 Tm 0.000 0.407 0.045 1
Tm6 Tm 0.000 0.840 0.160 1
Tm7 Tm 0.000 0.160 0.840 1
Tm8 Tm 0.000 0.633 0.367 1
Tm9 Tm 0.000 0.593 0.955 1
Tm10 Tm 0.000 0.709 0.709 1
Tm11 Tm 0.000 0.291 0.291 1
Dy1 Dy 0.500 0.245 0.446 1
Dy2 Dy 0.500 0.755 0.554 1
Dy3 Dy 0.500 0.446 0.245 1
Dy4 Dy 0.500 0.554 0.755 1
```



A relaxed structure of DyY3Tm3, computed with PBE.

Summary:
Offset from the most stable computed form, meV/atom: 0
Formation enthalpy at 0 K, eV per atom: 0.00

Structure (CIF):
```
data_DyY3Tm3
_space_group_name_H-M_alt 'P 1'
_space_group_IT_number 1
_cell_length_a 5.607
_cell_length_b 9.540
_cell_length_c 9.541
_cell_angle_alpha 120.00
_cell_angle_beta 90.00
_cell_angle_gamma 90.00
loop_
_space_group_symop_operation_xyz
'x,y,z'
loop_
_atom_site_label
_atom_site_type_symbol
_atom_site_fract_x
_atom_site_fract_y
_atom_site_fract_z
_atom_site_occupancy
Tm1 Tm 0.250 0.383 0.904 1
Tm2 Tm 0.750 0.478 0.383 1
Tm3 Tm 0.250 0.096 0.479 1
Tm4 Tm 0.750 0.617 0.096 1
Tm5 Tm 0.250 0.522 0.617 1
Tm6 Tm 0.750 0.904 0.521 1
Dy1 Dy 0.750 0.333 0.667 1
Dy2 Dy 0.250 0.667 0.333 1
Y1 Y 0.250 0.240 0.192 1
Y2 Y 0.250 0.951 0.760 1
Y3 Y 0.750 0.760 0.808 1
Y4 Y 0.750 0.192 0.951 1
Y5 Y 0.250 0.808 0.049 1
Y6 Y 0.750 0.049 0.240 1
```



Results for total DFT energy (no corrections): -5.1970; -5.3402 (in eV/atom, following the order of the records).


Here is RbNbO3 after structural relaxation from OQMD. Energies are from PBE-GGA.

a = 5.5393 Å, b = 5.5393 Å, c = 6.9188 Å
α = 66.40°, β = 66.40°, γ = 60.00°
Last column: nearest neighbours and their distance in Å.
Element x y z (fractional)
1 Nb 0.8444 0.8444 0.4668  6 O 1.94-2.13
2 Nb 0.1556 0.1556 0.5332  6 O 1.94-2.13
3 O 0.5585 0.1291 0.3055  2 Nb 1.94-2.13
4 O 0.0070 0.5585 0.3055  2 Nb 1.94-2.13
5 O 0.1291 0.0070 0.3055  2 Nb 1.94-2.13
6 O 0.8709 0.9930 0.6945  2 Nb 1.94-2.13
7 O 0.9930 0.4415 0.6945  2 Nb 1.94-2.13
8 O 0.4415 0.8709 0.6945  2 Nb 1.94-2.13
9 Rb 0.6352 0.6352 0.0945  6 O 2.75-2.93
10 Rb 0.3648 0.3648 0.9055  6 O 2.75-2.93

Properties
Uncorrected energy (eV per atom): -7.589
Crystal system: trigonal
Magnetic moment (Bohr magnetons per cell): 0.0
- - -
## Here the piece continues

Feedback and Iteration: Both tools will undergo a six-month review to gather insights and feedback from users, ensuring that they remain relevant and effective in clinical practice. We encourage healthcare professionals to integrate these tools into their practice, observe their impact, and contribute feedback for future enhancements.

Conclusion: The ARFID Severity Matrix for Adults and Children marks a significant advancement in the field of eating disorders. By providing clear, actionable guidelines for assessing and managing ARFID, these tools empower healthcare professionals to offer more precise and effective interventions, ultimately improving outcomes for those affected by this challenging disorder.

Call to Action: We invite healthcare providers to download these tools from the Insight Eating website, utilize them in their practice, and share their experiences to help refine and perfect these essential resources.